(File)
********
# HoErTeSe2
Computed powder X-ray diffraction pattern, CuKα. Input: the PBE geometry in Alexandria.
Peak positions follow from Bragg's law for the DFT cell and can differ from measured ones.

Peak list (10 most intense, 2θ from 5° to 70°, in order of rising 2θ)
2θ (°)	Rel. int.	(hkl)
27.3	1000	1 0 3
30.2	178	1 1 2
37.8	328	1 1 4
39.0	339	2 0 0
48.1	212	1 1 6
48.2	337	2 1 3
56.4	116	2 2 0
63.7	111	3 0 3
67.4	97	2 0 8
69.8	92	3 1 4

Atomic structure:
a b c (Å): 4.618 4.618 13.919
angles (deg): 90.00 90.00 90.00
Sites, in units of the cell vectors:
Ho: 0.000 0.000 0.000
Ho: 0.500 0.500 0.500
Er: 0.000 0.000 0.719
Er: 0.500 0.500 0.219
Te: 0.000 0.000 0.360
Te: 0.500 0.500 0.860
Se: 0.000 0.500 0.111
********

(Exercise)
Now retype the whole of the material earlier on without altering anything.

(Reply)
# HoErTeSe2
Computed powder X-ray diffraction pattern, CuKα. Input: the PBE geometry in Alexandria.
Peak positions follow from Bragg's law for the DFT cell and can differ from measured ones.

Peak list (10 most intense, 2θ from 5° to 70°, in order of rising 2θ)
2θ (°)	Rel. int.	(hkl)
27.3	1000	1 0 3
30.2	178	1 1 2
37.8	328	1 1 4
39.0	339	2 0 0
48.1	212	1 1 6
48.2	337	2 1 3
56.4	116	2 2 0
63.7	111	3 0 3
67.4	97	2 0 8
69.8	92	3 1 4

Atomic structure:
a b c (Å): 4.618 4.618 13.919
angles (deg): 90.00 90.00 90.00
Sites, in units of the cell vectors:
Ho: 0.000 0.000 0.000
Ho: 0.500 0.500 0.500
Er: 0.000 0.000 0.719
Er: 0.500 0.500 0.219
Te: 0.000 0.000 0.360
Te: 0.500 0.500 0.860
Se: 0.000 0.500 0.111